I walked up to Mr. Johnson & by way of introducing myself, I stated my username.
Now this guy is either very good at deception or he has a very good memory. Before I could mention The BooMan Tribune, which was to be my next intro line, he said “Hey, How are you?” as if he recognized me from here at the tribune. So he remembered me from my comments or he knows how to speak to people. I mentioned that he had said, if Fred Thompson ever announces his candidacy, that he wanted someone to ask him how he liked representing the treason faction of the republican party. So now that he`s announced, what was he [Mr. Johnson] going to do about it. His reply gave me more confidence in the ultimite survival of this country as I always envisioned it to be, not because of the content of it, but because of his confident & determined manner in which he gave it.
He told me though, that there were plenty of things they were doing & working on & that the process of restoring sanity here, would not waver.
The moderator, Ian Masters, a very wellspoken & seemingly knowledgeable man, started his talk by way of announcing how the evening was to progress, who would be speaking & a little about them. As the evening progressed I could see that Ian Masters, was more than a moderator, but a person that shared the same thoughts, fears, & feelings about the state of affairs , as the people who came to hear the speakers.
Mr. Ray McGovern sits in front of me & since we had just seen him on a screen showing his “nerve’ when he shot down Don Rumsfeld`s claim to never having said he knew where Saddam`s WMD`s were, by calling him a liar, I had to congratulate him thank him for his 27 years in the service to this country, & his ongoing efforts to bring forward & educate as many people as possible to the facts that some people already know but need to be reinforced & to those who don`t yet know that they`ve been bent over .
The moderator Ian Masters had given us a brief history of Mr. McGovern`s career, & one of the things that he had done was to present, to the POTUS, by hand, the Presidential Daily Briefing.
[” We never could have imagined” Condi Rice.]
### Calculated molecules from another source follow
+++
Entry 1:
Formula: C42H59BBr30N2O3Si
Source: OMol25
Level of theory: ωB97M-V with the def2-TZVPD basis set

Its HOMO energy is -0.292 Ha. The value obtained for the calculated total energy is -79504.5917 Eh. For the lowest unoccupied orbital energy, the calculation gives -1.3306 eV. The value obtained for the frontier orbital gap is 6.6 eV.

ORCA input file:
```
! RIJCOSX wB97M-V def2-TZVPD def2/J DEFGRID3
* xyz 0 1
C -0.36446 -4.03940 4.81250
C -0.86579 -5.42713 4.08736
C -0.13174 -5.76041 2.65751
C -0.52292 -4.71717 1.43424
C 0.16254 -3.19654 1.56068
C -0.10518 -2.08157 0.38944
C 0.47620 -0.54964 0.34012
C 1.18180 -0.02543 1.72344
C 0.50421 1.44996 2.08193
C 0.72747 2.58381 0.91883
C -0.65083 3.46797 0.58138
C -1.88427 2.55525 0.00420
C -3.10018 3.39889 -0.70330
C -4.53790 2.98637 0.02229
Si -5.19514 1.24494 -0.47264
C -4.08007 0.27338 -1.70918
C -6.91257 1.49448 -1.38163
C -5.47383 0.05764 1.05299
C -4.59683 -1.34466 1.28462
C -4.83962 -2.31849 2.61917
C -6.03429 -1.81739 3.67716
C -6.93818 -0.45765 3.45883
C -6.65034 0.52136 2.14454
C -1.06165 -2.54984 -0.87803
O -1.29943 -1.58036 -1.99693
C -0.40022 -2.08886 -3.08244
C 0.29062 -0.89246 -3.96415
O 1.50316 -1.27688 -4.70212
C 2.58571 -1.72613 -3.81417
C 3.03042 -0.65511 -2.65612
C -1.78592 -4.04577 -0.99393
N -2.64925 -4.27668 -2.20257
C -3.27245 -5.64269 -2.16064
C -3.00649 -6.73769 -0.98799
B -3.79955 -8.20659 -1.14595
C -3.80540 -8.81941 -2.70735
O -4.48003 -8.90716 -0.03911
N -2.10610 -6.53534 0.19796
C -1.52304 -5.15065 0.17020
H -0.72150 -3.99050 5.94651
H -0.93451 -3.15004 4.27305
H 0.78114 -3.81832 4.71736
H -0.55817 -6.31091 4.82781
H -2.03673 -5.43964 3.95749
H -0.24803 -6.90546 2.34695
H 1.03824 -5.61688 2.84736
H 0.84722 -2.91753 2.46930
H -0.46718 0.15677 0.15544
H 1.18743 -0.36705 -0.58073
H 2.32691 0.17666 1.45339
H 1.10809 -0.76046 2.63178
H 0.95614 1.85338 3.09565
H -0.65138 1.28769 2.18931
H 1.48479 3.38630 1.37408
H 1.23508 2.19182 -0.06519
H -0.97765 4.15031 1.49792
H -0.32548 4.23658 -0.27026
H -2.30323 1.91184 0.90836
H -1.42554 1.85014 -0.82666
H -3.19758 2.99955 -1.82362
H -2.92790 4.55405 -0.77672
H -5.34892 3.77023 -0.34701
H -4.41333 2.98309 1.20166
H -4.24213 0.67638 -2.81321
H -2.94271 0.40382 -1.45670
H -4.29431 -0.89825 -1.72541
H -7.79591 1.59074 -0.61260
H -7.10648 0.58450 -2.10735
H -6.81140 2.48249 -2.02369
H -3.76048 -1.68828 0.53960
H -4.22919 -3.29180 2.84410
H -6.26046 -2.48985 4.62878
H -7.78862 -0.18064 4.24679
H -7.24175 1.52394 1.93533
H 0.34648 -2.82929 -2.56996
H -1.08693 -2.73461 -3.80721
H 0.42113 0.08942 -3.30090
H -0.51419 -0.58564 -4.79093
H 2.39938 -2.77256 -3.30244
H 3.54583 -1.88442 -4.50593
H 4.19777 -0.44190 -2.78798
H 2.50310 0.38827 -2.71013
H 2.93573 -1.18717 -1.60273
H -3.98599 -5.94069 -3.06221
H -2.81389 -8.58077 -3.28883
H -4.00348 -9.97646 -2.73955
H -4.67969 -8.32052 -3.34691
H -3.81262 -9.21261 0.64298
C -0.44556 2.97021 -3.68928
Br -1.07482 3.39547 -1.89837
Br -1.90995 2.86721 -4.96568
Br 0.94361 4.19769 -4.27887
+++
One of the things I noticed about Mr. McGovern was that he was just like your dad, or your friend. There was no pretention, it was true. Whatever he was saying, it was very easy to trust he was speaking the truth, & you could see it better when listening to him voice his aprehension, about even begining to speak out.
After being called a “Wuss”[ by his friends,& in humor] for not immediately speaking out & being pointed to Cindy Shehan & Rachel Corrie who weren`t afraid, he decided to go for broke & called the liar [Rumsfeld] a liar. He then mentioned how there were “Raging Grannies” out there, now where were the raging grampas. The lady in front of me started whooping & clapping, as if she also wanted to know where they were. I tapped her on the shoulder & said, “Right behind you, lady”
Mr Johnson, explained how the people you grow up with in a career, is much the same as a group that gravitate towards a like minded group in college. Those connections are reinforced through time & to this day they remain a very tight group. There are some very very “POed” people who will not let Valerie Plame`s outing & her husband`s, Mr. Wilson, name be treated in the manner in which they have. He stated that there were assets, more than just Valerie Plame, that were lost due to the actions of people like Libby, & those who were involved in her outing.
They have done “Great Harm” to this country, he said.
He was not a happy man, when he was talking about that. I would not want to be the subject of his conviction to fix this wrong.
A few more points, for whatever it means.
At the question period, about 30 people lined up for questions. Jeebus,
I know we were in Venice Ca. but when the conspiracy people started talking or getting a little out there, a lot of people left. Then there were others, one, who wanted to explain his own personal “Deja Vu” with many contorted hand motions. It reminded me of Led Zeppelin, you know, “Ramble On”.
Then an impaired person, remember, we`re in Venice, tried to mumble about something most people couldn`t hear, so Larry said, “I`ll take that one.That`s an easy question, uh! no, wait [ it wasn`t], I`ll give you an easy answer.” More questions on whether we should worry about martial law.
Mr. johnson sugested that there were legal steps that should be taken & that the rule of law should be followed.
Invasion of Iran: Mr. McGovern, is of the opinion that the military has stopped the presidents eagerness to do so by presenting him with a “Day After” scenario, in which he was convinced it was not a good idea, but one can`t watch bush all the time & if cheney got his mitts in that oven, all bets were off. He did go on to explain the utter idiocy of attacking Iran by explaining the “Day After” briefing which the president was given. Interestingly, he linked how the lobby for Israel who have been cheering an attack on Iran for a long time, would be a major loser if it did come about.
Then in the question period, a lady stood up & questioned why he was so quick to mention Israel, but had not mentioned “oil”.
Another lady got up & sorta tried to maybe imply that since they were both CIA insiders tthat they had some kind of agenda that they were involved with at this very moment to pull more wool over “OUR” eyes.
A guy over on my side of the room said to a rude lady next to me, “I don`t trust that guy on the right”. He was speaking of Mr Johnson.
A few minutes later, he started talking over me again to the same lady. I told him it was very rude to interrupt my listening, they`re answering questions & interrupting the poeple who came to ask the questions.
And don`t trust the guy on the left, that`s me on your left buddy.
A few other people started chiming in about not learning anything new bla bla. The moderator Ian Masters tells the people it`s not cool to be insulting “Guests” . Meeting is pretty much over. I went & thanked Mr.Johnson who was surrounded by people with more questions, & also MR. McGovern who also had a crowd around him. I have to also acknowledge a female comedienne who obviously had not preformed in a church before.
At the entrance to the hall in the lobby I noticed that “Code Pink” was being very helpful also.
I like those Code Pink ladies. I met a whole bunch of them once, but they probably thought I was just a run of the mill nut.
I wish I could tell them, I`m not a run of the mill nut, but a genuine hand forged one.
I`ll post a few pics in the first comment.
You DO know of course that the person on the left of the bottom picture is George Bush, don’t you? He is either in makeup or he has time-traveled back from the future. Either way, he is definitely there to mess with the opposition.
Be careful, bro’.
They are EVERYWHERE!!!
Especially in Venice!!!
Mr. Gilroy,
That must explain the grey powder that covered my facial hair. It was his make-up.
If onjly I could grow facial hair like that. Alas …
Hey Steve,
It happened quite suddenly, actually.
More than 40 years ago.
I’m glad you made it. They are both great guys. And you don’t want to mess with them.
kewl! Glad you got to go and see them both. I know you will never forget the experience. hugs
Brenda [same last name as me]
Yes it was actually very cool to go to this meeting. There was quite a mix of people & if you know how Venice is, it was a MIXED crowd.
Hi Knucklehead. My husband and I were at the church yesterday evening as well. Thank you for sharing your report of the event.
First, Ian Masters has two hours of public affairs on Sundays from 11-1 on Pacifica station KPFK, 90.7FM. As he mentioned, he has had both McGovern and Johnson as guests (I would say McGovern more frequently than Johnson). If you live in Southern California and you’re not familiar with the program, try listening sometime.
Second, the “conspiracy crowd” comes more from a cadre of KPFK listeners rather than Venice residents, and has as much to do with radio station politics as with 9-11 itself. Since Ian Masters regularly excoriates that crowd on the air, a few usually show up to vent their views. (A co-sponsor of the event was Office of the Americas and the director also has a program on KPFK.) In addition, McGovern has appeared with David Ray Griffin which would add fuel to the “conspiracy crowd”.
Another lady got up & sorta tried to maybe imply that since they were both CIA insiders tthat they had some kind of agenda that they were involved with at this very moment to pull more wool over “OUR” eyes.
## What comes next are quantum chemistry results, not part of the text
~~~
# 1
75
Properties=species:S:1:pos:R:3 method="wB97M-V/def2-TZVPD" total_charge=+2 de_lowest_ev=0.000 spin_multiplicity=6
Ru 0.37 -1.01 0.59
O -0.24 1.03 1.59
C -0.46 1.03 3.00
C -0.11 -0.32 3.55
C 0.33 -0.48 4.85
C 0.57 -1.76 5.32
C 0.37 -2.85 4.48
C -0.06 -2.61 3.19
N -0.28 -1.36 2.72
H -1.02 1.39 1.13
H -1.51 1.23 3.22
H 0.15 1.80 3.47
H 0.47 0.39 5.48
H 0.93 -1.91 6.33
H 0.53 -3.86 4.82
H -0.25 -3.43 2.51
C 0.77 -4.32 -3.47
O 0.28 -3.98 -2.16
C 0.00 -2.70 -1.92
O -0.35 -2.54 -0.63
N 0.03 -1.75 -2.75
N -0.19 0.52 -1.15
H 1.00 -5.38 -3.43
H 1.68 -3.76 -3.70
H 0.01 -4.15 -4.23
H 0.26 -2.01 -3.70
H -0.26 -0.31 -1.78
H 0.73 0.92 -1.33
N 1.68 -4.46 0.47
C 2.35 -3.54 1.12
N 2.15 -2.21 1.06
C 2.97 -1.52 1.99
C 2.96 -0.15 2.20
C 3.76 0.38 3.20
C 4.59 -0.45 3.96
C 4.63 -1.82 3.72
C 3.81 -2.34 2.73
S 3.58 -4.01 2.26
H 0.89 -4.21 -0.11
H 1.93 -5.43 0.55
H 2.34 0.49 1.59
H 3.76 1.45 3.40
H 5.22 -0.02 4.73
H 5.29 -2.46 4.29
C -2.75 1.51 0.04
Si -1.54 1.71 -1.41
C -2.56 1.25 -2.95
C -1.65 1.24 -4.18
C -3.12 -0.17 -2.67
C -3.73 2.23 -3.11
C -0.67 3.40 -1.48
C 0.56 3.34 -2.40
C -0.18 3.71 -0.04
C -1.63 4.51 -1.93
H -3.77 1.58 -0.31
H -2.65 2.29 0.82
H -2.65 0.52 0.50
H -0.74 0.64 -4.02
H -1.36 2.25 -4.48
H -2.18 0.79 -5.04
H -2.33 -0.90 -2.47
H -3.66 -0.53 -3.56
H -3.83 -0.17 -1.84
H -3.39 3.24 -3.35
H -4.37 2.27 -2.23
H -4.35 1.90 -3.95
H 1.36 2.71 -2.00
H 0.98 4.35 -2.50
H 0.31 2.99 -3.41
H 0.48 2.94 0.35
H -1.02 3.86 0.65
H 0.39 4.65 -0.05
H -1.81 4.47 -3.00
H -1.18 5.48 -1.71
H -2.59 4.47 -1.41

# 2
70
Properties=species:S:1:pos:R:3 method="wB97M-V/def2-TZVPD" total_charge=+1 energy_ev=-84306.5064 spin_multiplicity=4
V -0.07 0.77 0.37
C 2.86 2.47 0.84
C 1.46 2.17 1.23
C 1.09 1.28 2.27
C 2.14 0.32 2.86
C -0.25 1.19 2.67
C -0.70 0.07 3.59
C -1.23 2.05 2.11
C -2.63 1.97 2.55
C -0.83 3.00 1.10
C -1.98 3.75 0.48
C 0.47 3.16 0.69
C 0.95 4.26 -0.15
H 2.95 2.57 -0.26
H 3.52 1.68 1.05
H 3.23 3.34 1.32
H 2.13 0.59 3.91
H 3.16 0.49 2.55
H 2.00 -0.73 2.69
H -1.73 -0.12 3.33
H -0.61 0.50 4.61
H -0.06 -0.84 3.53
H -3.14 1.06 2.32
H -3.18 2.80 2.14
H -2.60 2.06 3.67
H -2.81 3.14 0.04
H -1.61 4.40 -0.32
H -2.44 4.39 1.23
H 0.27 5.07 -0.18
H 1.32 3.94 -1.18
H 1.88 4.60 0.37
C 2.55 -4.16 1.05
Si 2.16 -3.96 -0.77
C 3.60 -4.77 -1.71
C 0.54 -4.80 -1.09
C 2.13 -2.24 -1.45
C 2.84 -1.81 -2.60
C 2.78 -0.45 -2.95
C 2.23 0.44 -2.11
N 1.45 0.08 -1.08
C 1.39 -1.24 -0.77
S 0.29 -1.62 0.47
H 2.66 -5.19 1.38
H 1.66 -3.80 1.63
H 3.46 -3.57 1.41
H 4.55 -4.55 -1.25
H 3.80 -4.42 -2.74
H 3.55 -5.91 -1.88
H 0.50 -5.78 -0.66
H 0.25 -4.74 -2.15
H -0.32 -4.23 -0.57
H 3.37 -2.61 -3.17
H 3.34 0.05 -3.70
H 2.35 1.46 -2.43
C -4.37 1.39 -2.33
C -3.13 0.87 -2.97
S -1.94 0.05 -2.03
O -1.41 1.10 -1.10
C -2.96 -1.19 -1.13
C -3.59 -0.81 0.21
H -4.93 2.00 -3.02
H -4.07 1.95 -1.43
H -5.12 0.69 -2.02
H -2.55 1.63 -3.48
H -3.29 0.25 -3.91
H -2.25 -2.00 -0.95
H -3.75 -1.50 -1.82
H -3.03 -0.05 0.77
H -3.77 -1.63 0.89
H -4.55 -0.34 0.03

# 3
71
~~~
## Back to the text
I had a different view of her questions. I thought she was asking who were the authors and beneficiaries of the “charade” (Pilger’s characterization in his question to McGovern in the video). I think her quote was “it can’t all be for Halliburton”.
I was disappointed in the turn out for the event. There have been times when people have been standing in the back and sitting in the aisles – the appearances of Scott Ritter and Fernando Suarez del Solar for two examples. Perhaps the KPFK fund drive didn’t allow for enough publicity of the event.
Thank you for the input. I was wondering who you were, as I saw your username on the annoucement here. I wasn`t putting Venice down & I don`t mean to imply you did. Personally I love Venice & it`s history of activism. I very possibley did not understand her theme , but given I was around some people who I thought were rude, just a few missed words can change the whole premise. I had just spent the day in Venice on “Electric” ave, & on “Palm”.
After talking about the Haliburtons of religion, the Haliburtons of Israel, the Haliburtons of special interests & yes the Haliburtons of oil, I took it to mean it the way I mentioned, seeing as McGovern & Johnson had already mentioned much more than “Just Haliburton” in the talk up to that point.
As a matter of fact, I was telling my wife last night on the way home, that I hope “Venice” chimes in so I could see the meeting through other eyes.
I liked when Mr. McGovern stepped over to get the glasses that someone lent him in Crawford when he was there with Cindy Shehan.
He talked about the metaphore of seeing things through other people eyes, or glasses in this case.
I also appreciate that you were able to explain the relationship between the different camps regarding 911 & the radio station.
When I talked about a very Mixed crowd as was present especially because it was in Venice, I meant that as a very positive thing. I don`t think the same speakers, in a different place, like a farming community in a very red area, & of very like minded people would be as effective as one with such a diversity of people. I`ll compare it to people from southern California, seeing a show on TV where we know the streets & geography, laugh at the lack of continuity of the show as a character goes from one scene to another with three lines but actually we know he`s already miles away because we know the geography here.
Many people might have no clue about what Venice is about , so it was a way to express the diversity.
Nice meeting you. And hey , YEAH VENICE.
I`ll be back in Venice tomorrow doing a photoshoot.
I hope I didn’t sound defensive, because I knew what you meant — except for those guys who follow Ian Masters around, disrupt call-in shows on KPFK, etc.
I was impressed by how well McGovern and Johnson handled the shouters. I suspect their calm kept Masters from spouting off, which only makes the situation worse.
I think the woman’s question was open to interpretation, so your view could be correct. She certainly was indirect and talked around the issue.
### Here the article breaks off for records of molecules
____________
Entry 1:
Density functional theory data (wB97M-V/def2-TZVPD) for 6 unconnected molecules or ions with the total composition C18H32O18S2 in a non-equilibrium geometry.

Element x y z (Å)
C  -3.206  -0.336  -0.900
C  -3.247  1.141  -0.726
O  -4.358  1.300  0.099
S  -4.431  2.792  0.898
C  -6.045  2.751  1.652
O  -3.421  2.825  1.929
O  -4.405  3.851  0.008
H  -3.039  -0.822  -0.034
H  -2.498  -0.859  -1.521
H  -4.298  -0.416  -1.146
H  -2.263  1.513  -0.269
H  -3.254  1.535  -1.703
H  -6.209  3.700  2.214
H  -6.086  1.989  2.384
H  -6.842  2.803  0.930
C  1.332  0.747  3.734
C  2.493  -0.029  4.513
O  1.784  -1.275  4.742
S  2.569  -2.309  5.806
C  1.212  -3.151  6.464
O  3.421  -3.170  5.037
O  3.269  -1.610  6.929
H  0.554  1.093  4.411
H  1.218  -0.115  2.814
H  1.579  1.738  3.546
H  3.232  -0.424  3.985
H  2.838  0.520  5.440
H  0.616  -3.771  6.000
H  0.597  -2.369  6.716
H  1.780  -3.585  7.255
O  -2.874  -3.598  -0.475
C  -1.736  -3.759  -1.044
O  -1.549  -3.669  -2.373
C  -0.207  -3.923  -2.776
C  0.444  -3.989  -1.351
O  -0.659  -4.089  -0.494
H  -0.081  -4.755  -3.325
H  0.135  -3.053  -3.261
H  1.222  -3.293  -1.073
H  0.858  -4.934  -0.976
O  -0.088  2.660  -2.019
C  0.868  3.020  -1.418
O  2.005  3.102  -1.898
C  3.005  3.530  -0.973
C  2.295  3.704  0.278
O  0.975  3.221  -0.063
H  3.622  2.659  -0.798
H  3.482  4.482  -1.299
H  2.103  4.765  0.857
H  2.856  2.912  1.103
O  -0.057  -0.432  0.320
C  1.173  -0.399  -0.091
O  2.236  -0.593  0.658
C  3.428  -0.490  -0.135
C  2.862  -0.420  -1.480
O  1.513  -0.125  -1.259
H  3.880  0.321  0.013
H  3.979  -1.351  -0.094
H  3.038  -1.315  -1.888
H  3.131  0.299  -2.223
O  -3.255  -0.513  -5.300
C  -2.141  -0.104  -5.195
O  -1.615  0.863  -5.971
C  -0.233  1.029  -5.656
C  0.071  -0.041  -4.604
O  -1.259  -0.582  -4.395
H  0.488  1.083  -6.542
H  -0.059  2.212  -5.428
H  0.517  0.481  -3.616
H  0.732  -0.974  -4.943

Summary:
Structure (SMILES): CCOS(C)(=O)=O.CCOS(C)(=O)=O.O=C1OCCO1.O=C1OCCO1.O=C1OCCO1.O=C1OCCO1
Frontier orbital gap in hartree: 0.3533
Calculated total energy in hartree: -2855.41955
HOMO in Ha: -0.366
E_LUMO in eV: -0.34



Entry 2:
Density functional theory data (wB97M-V/def2-TZVPD) for 2 unconnected molecules or ions with the total composition CH6N4O in a non-equilibrium geometry.

Element x y z (Å)
H  -1.212  -1.732  -0.659
N  -0.757  -1.480  0.254
C  -0.847  -0.266  0.479
N  -1.351  0.797  -0.211
H  -0.440  0.022  1.424
H  -0.968  1.645  0.116
H  -1.372  0.714  -1.171
H  3.319  1.078  0.536
N  2.322  1.118  0.331
N  1.601  0.192  0.064
O  2.019  -1.056  -0.313
H  1.249  -1.660  -0.343

Summary:
Structure (SMILES): [H]/N=C\N.[H]/N=N\O
Frontier orbital gap in hartree: 0.3849
Calculated total energy in hartree: -335.85275
HOMO in Ha: -0.346
E_LUMO in eV: 1.07
____________
We live near Palms, and use Electric as a walking alternate route to the more car-filled Abbott Kinney Blvd. As you may know, Electric Avenue takes its name from the the old street car line that used to connect LA to the beaches. There are some beautiful Craftsman homes on and around Electric Avenue from when Venice was “Venice of America”.
My friend Jay Griffen has some properties in that very area. I`ve been on some of his walking tours of the gardens of Venice..
He does the garden tour as a charity event for children. The house I go to in Venice on Palm is the one with the stripped “Onion” dome on it.
You may know Neil who owns the place. I also spent time on the “canals” in past years working for Mohamed Ali`s wife & know [knew] the girls well. Laila, now a boxer & her older sister, were a handful. Veronica, the mom, was a classic beauty & I would call her a nice friend.
The houses in Venice are actually amazing & the pride their occupants take in them, will assure that they remain for years to come. Here`s a link to the garden tour gallery archives. You may be in it.
For anybody wishing to see what a wonserful place Venice is, it`s worth a look/see.
Thanks for the link. Yes, our home was on the garden tour this year. With a Mediterranean marine climate, there are lots of choices for our gardens. And I am familiar with the domed house on Palms. I have stopped many times to peer into their garden.
Nice talking with you, Knucklehead.
I`ll be there tomorrow after 9:30 AM. You can just give a shout or just walk on in. It`s a friend friendly zone.
It`s great that you were on the garden tour. Just think, I may already have been to your house.
Thanks for the invite, but at that time of day I’m in cubicle-land — the curse of the working class.
Enjoy your day and have a good photo shoot.